Assignment
It remains to transcribe the listing below with every line break kept.

Contents
+++
Molecular formula: C4H15NO3
Method: DFT, wB97M-V/def2-TZVPD

Last column: natural (NBO) charge in e.
Cartesian coordinates (Å):
C -2.408 -0.008 2.194  -0.592
C -1.593 -0.434 1.017  -0.413
C -1.023 0.763 0.047  -0.248
C -0.922 -0.361 -2.025  -0.026
N -0.282 0.313 -1.112  -0.462
H -2.188 -0.825 3.143  0.206
H -2.005 0.942 2.590  0.206
H -3.415 0.113 2.017  0.208
H -2.147 -1.119 0.388  0.197
H -0.730 -1.010 1.374  0.201
H -0.476 1.413 0.722  0.195
H -1.923 1.373 -0.334  0.192
H -1.930 -0.817 -1.950  0.153
H -0.512 -0.571 -3.016  0.187
H 1.845 -2.264 -1.374  0.464
H 0.576 -1.958 -0.708  0.468
O 1.019 -2.611 -1.262  -0.931
H 3.210 1.673 -0.998  0.462
H 2.226 0.862 -1.674  0.476
O 3.156 0.893 -1.599  -0.945
H 3.838 0.991 0.581  0.471
H 2.419 1.223 0.787  0.460
O 3.265 1.422 1.193  -0.927

The net charge is 0. The value obtained for the highest occupied orbital energy is -10.170 eV. As for the structure (SMILES): C=NCCC.O.O.O. The HOMO-LUMO gap is 0.3865 Ha. The lowest unoccupied orbital energy is 0.35 eV. As for the energy above the lowest of the compared OMol25 structures with the same formula, charge and spin: 223.4 kJ/mol. The value obtained for the max |F| is 5.1 eV/A.



Molecular formula: C4H15NO3
Method: DFT, wB97M-V/def2-TZVPD

Last column: natural (NBO) charge in e.
Cartesian coordinates (Å):
C -0.054 2.463 0.292  -0.065
O -0.464 2.631 1.637  -0.739
C 0.359 0.992 -0.021  -0.072
C -0.320 0.477 -1.323  -0.389
C 0.616 -0.519 -1.982  -0.633
N 0.146 0.087 1.078  -0.869
H -0.888 2.781 -0.352  0.146
H 0.747 3.175 0.067  0.161
H -0.389 1.752 2.041  0.484
H 1.428 1.097 -0.228  0.186
H -1.307 0.192 -0.961  0.160
H -0.539 1.299 -2.005  0.208
H 0.057 -1.216 -2.620  0.209
H 1.147 -1.249 -1.361  0.234
H 1.406 -0.023 -2.543  0.208
H 0.960 -0.446 1.330  0.396
H -0.726 -0.404 0.988  0.373
H -2.228 -1.136 -0.280  0.452
H -2.704 -2.310 -0.857  0.465
O -2.257 -2.077 -0.028  -0.918
H 2.863 -2.877 0.117  0.482
H 1.723 -3.274 1.199  0.486
O 1.944 -2.838 0.377  -0.964

The net charge is 0. The value obtained for the highest occupied orbital energy is -9.405 eV. As for the structure (SMILES): CC[C@H](N)CO.O.O. The HOMO-LUMO gap is 0.3665 Ha. The lowest unoccupied orbital energy is 0.57 eV. As for the energy above the lowest of the compared OMol25 structures with the same formula, charge and spin: 120.7 kJ/mol. The value obtained for the max |F| is 1.9 eV/A.



Molecular formula: C4H15NO3
Method: DFT, wB97M-V/def2-TZVPD

Last column: natural (NBO) charge in e.
Cartesian coordinates (Å):
C -1.181 -2.085 1.364  -0.646
C -1.168 -1.036 0.358  -0.130
C -1.222 -0.857 -0.979  -0.115
N -1.548 0.580 -1.397  -0.658
C -0.394 1.331 -1.072  -0.407
H -0.757 -1.776 2.302  0.226
H -2.232 -2.211 1.609  0.220
H -0.961 -3.120 0.991  0.201
H -1.299 -0.110 1.129  0.199
H -1.179 -1.484 -1.721  0.178
H -2.006 0.597 -2.368  0.374
H 0.525 1.017 -1.538  0.140
H -0.614 2.408 -1.251  0.194
H -0.135 1.058 0.025  0.203
H 1.305 -1.728 2.054  0.455
H 1.607 -1.307 0.805  0.484
O 1.054 -1.009 1.527  -0.921
H 3.280 0.249 -1.081  0.480
H 1.835 -0.196 -1.629  0.482
O 2.449 -0.094 -0.835  -0.961
H 0.975 3.493 -0.096  0.452
H 0.704 2.660 0.998  0.468
O 0.965 3.620 0.804  -0.918

The net charge is 0. The value obtained for the highest occupied orbital energy is -8.016 eV. As for the structure (SMILES): C/C=C/NC.O.O.O. The HOMO-LUMO gap is 0.3111 Ha. The lowest unoccupied orbital energy is 0.45 eV. As for the energy above the lowest of the compared OMol25 structures with the same formula, charge and spin: 411.8 kJ/mol. The value obtained for the max |F| is 7.6 eV/A.



Molecular formula: C4H15NO3
Method: DFT, wB97M-V/def2-TZVPD

Last column: natural (NBO) charge in e.
Cartesian coordinates (Å):
C -2.742 0.668 -1.220  -0.598
C -1.393 0.530 -0.349  -0.477
C -0.303 -0.244 -1.034  0.183
C -0.666 -1.421 -1.523  -0.539
N 0.962 0.311 -1.118  -0.816
H -2.451 0.598 -2.362  0.216
H -3.510 0.058 -0.921  0.199
H -3.134 1.680 -1.073  0.199
H -1.146 1.503 0.042  0.209
H -1.609 0.153 0.694  0.257
+++

Response
Molecular formula: C4H15NO3
Method: DFT, wB97M-V/def2-TZVPD

Last column: natural (NBO) charge in e.
Cartesian coordinates (Å):
C -2.408 -0.008 2.194  -0.592
C -1.593 -0.434 1.017  -0.413
C -1.023 0.763 0.047  -0.248
C -0.922 -0.361 -2.025  -0.026
N -0.282 0.313 -1.112  -0.462
H -2.188 -0.825 3.143  0.206
H -2.005 0.942 2.590  0.206
H -3.415 0.113 2.017  0.208
H -2.147 -1.119 0.388  0.197
H -0.730 -1.010 1.374  0.201
H -0.476 1.413 0.722  0.195
H -1.923 1.373 -0.334  0.192
H -1.930 -0.817 -1.950  0.153
H -0.512 -0.571 -3.016  0.187
H 1.845 -2.264 -1.374  0.464
H 0.576 -1.958 -0.708  0.468
O 1.019 -2.611 -1.262  -0.931
H 3.210 1.673 -0.998  0.462
H 2.226 0.862 -1.674  0.476
O 3.156 0.893 -1.599  -0.945
H 3.838 0.991 0.581  0.471
H 2.419 1.223 0.787  0.460
O 3.265 1.422 1.193  -0.927

The net charge is 0. The value obtained for the highest occupied orbital energy is -10.170 eV. As for the structure (SMILES): C=NCCC.O.O.O. The HOMO-LUMO gap is 0.3865 Ha. The lowest unoccupied orbital energy is 0.35 eV. As for the energy above the lowest of the compared OMol25 structures with the same formula, charge and spin: 223.4 kJ/mol. The value obtained for the max |F| is 5.1 eV/A.



Molecular formula: C4H15NO3
Method: DFT, wB97M-V/def2-TZVPD

Last column: natural (NBO) charge in e.
Cartesian coordinates (Å):
C -0.054 2.463 0.292  -0.065
O -0.464 2.631 1.637  -0.739
C 0.359 0.992 -0.021  -0.072
C -0.320 0.477 -1.323  -0.389
C 0.616 -0.519 -1.982  -0.633
N 0.146 0.087 1.078  -0.869
H -0.888 2.781 -0.352  0.146
H 0.747 3.175 0.067  0.161
H -0.389 1.752 2.041  0.484
H 1.428 1.097 -0.228  0.186
H -1.307 0.192 -0.961  0.160
H -0.539 1.299 -2.005  0.208
H 0.057 -1.216 -2.620  0.209
H 1.147 -1.249 -1.361  0.234
H 1.406 -0.023 -2.543  0.208
H 0.960 -0.446 1.330  0.396
H -0.726 -0.404 0.988  0.373
H -2.228 -1.136 -0.280  0.452
H -2.704 -2.310 -0.857  0.465
O -2.257 -2.077 -0.028  -0.918
H 2.863 -2.877 0.117  0.482
H 1.723 -3.274 1.199  0.486
O 1.944 -2.838 0.377  -0.964

The net charge is 0. The value obtained for the highest occupied orbital energy is -9.405 eV. As for the structure (SMILES): CC[C@H](N)CO.O.O. The HOMO-LUMO gap is 0.3665 Ha. The lowest unoccupied orbital energy is 0.57 eV. As for the energy above the lowest of the compared OMol25 structures with the same formula, charge and spin: 120.7 kJ/mol. The value obtained for the max |F| is 1.9 eV/A.



Molecular formula: C4H15NO3
Method: DFT, wB97M-V/def2-TZVPD

Last column: natural (NBO) charge in e.
Cartesian coordinates (Å):
C -1.181 -2.085 1.364  -0.646
C -1.168 -1.036 0.358  -0.130
C -1.222 -0.857 -0.979  -0.115
N -1.548 0.580 -1.397  -0.658
C -0.394 1.331 -1.072  -0.407
H -0.757 -1.776 2.302  0.226
H -2.232 -2.211 1.609  0.220
H -0.961 -3.120 0.991  0.201
H -1.299 -0.110 1.129  0.199
H -1.179 -1.484 -1.721  0.178
H -2.006 0.597 -2.368  0.374
H 0.525 1.017 -1.538  0.140
H -0.614 2.408 -1.251  0.194
H -0.135 1.058 0.025  0.203
H 1.305 -1.728 2.054  0.455
H 1.607 -1.307 0.805  0.484
O 1.054 -1.009 1.527  -0.921
H 3.280 0.249 -1.081  0.480
H 1.835 -0.196 -1.629  0.482
O 2.449 -0.094 -0.835  -0.961
H 0.975 3.493 -0.096  0.452
H 0.704 2.660 0.998  0.468
O 0.965 3.620 0.804  -0.918

The net charge is 0. The value obtained for the highest occupied orbital energy is -8.016 eV. As for the structure (SMILES): C/C=C/NC.O.O.O. The HOMO-LUMO gap is 0.3111 Ha. The lowest unoccupied orbital energy is 0.45 eV. As for the energy above the lowest of the compared OMol25 structures with the same formula, charge and spin: 411.8 kJ/mol. The value obtained for the max |F| is 7.6 eV/A.



Molecular formula: C4H15NO3
Method: DFT, wB97M-V/def2-TZVPD

Last column: natural (NBO) charge in e.
Cartesian coordinates (Å):
C -2.742 0.668 -1.220  -0.598
C -1.393 0.530 -0.349  -0.477
C -0.303 -0.244 -1.034  0.183
C -0.666 -1.421 -1.523  -0.539
N 0.962 0.311 -1.118  -0.816
H -2.451 0.598 -2.362  0.216
H -3.510 0.058 -0.921  0.199
H -3.134 1.680 -1.073  0.199
H -1.146 1.503 0.042  0.209
H -1.609 0.153 0.694  0.257